French officials first demanded in early October that Iraqi "resistance" forces be allowed to participate in the Sharm Al-Shaykh conference. Some Iraqi officials and media have contended that the French demand was made to help secure the release of two kidnapped French journalists who have been missing since late August.
Muhammad Bashir al-Faydi, a spokesman for the Muslim Scholars Association, welcomed the French proposal, calling it a step in the right direction, "Al-Ahali" reported on 20 October. Al-Faydi also said his Sunni group would await the outcome of the Sharm Al-Shaykh conference before it decides whether to participate in January elections. Association members have said on several occasions that they would boycott participation in January elections -- their motto is: "under occupation, elections cannot be held."
Materials data, as found in the file =
- - -
(P)
Computed, not measured: HfCrCuS4 after structural relaxation at the PBE level of DFT.

abc: 6.800 6.800 6.041
angles: 64.45 64.45 30.49
Sites, in units of the cell vectors:
1 Hf 0.244 0.244 0.744
2 Cr 0.756 0.756 0.257
3 Cu 0.500 0.500 0.484
4 S 0.376 0.376 0.288
5 S 0.620 0.620 0.699
6 S 0.869 0.869 0.809
7 S 0.136 0.136 0.218

**Symmetry**: Cm

---

(Q)
Computed, not measured: HfCrCuS4 after structural relaxation at the PBE level of DFT.

abc: 11.528 3.576 12.439
angles: 90.00 91.01 90.00
Sites, in units of the cell vectors:
1 Hf 0.885 0.750 0.925
2 Hf 0.159 0.250 0.675
3 Hf 0.851 0.750 0.308
4 Hf 0.351 0.750 0.198
5 Cr 0.114 0.250 0.068
6 Cr 0.394 0.750 0.570
7 Cr 0.616 0.250 0.438
8 Cr 0.642 0.250 0.805
9 Cu 0.110 0.750 0.467
10 Cu 0.883 0.250 0.547
11 Cu 0.404 0.250 0.938
12 Cu 0.597 0.750 0.058
13 S 0.009 0.750 0.627
14 S 0.987 0.250 0.383
15 S 0.479 0.250 0.119
16 S 0.524 0.750 0.881
17 S 0.036 0.250 0.879
18 S 0.976 0.750 0.122
19 S 0.479 0.750 0.389
20 S 0.528 0.250 0.617
21 S 0.209 0.250 0.244
22 S 0.768 0.750 0.755
23 S 0.292 0.750 0.742
24 S 0.710 0.250 0.257
25 S 0.243 0.750 0.017
26 S 0.744 0.250 0.981
27 S 0.261 0.250 0.504
28 S 0.748 0.750 0.487

**Symmetry**: Pm

---

The winner here is (P), beating the second structure by 110 meV per atom.

=====

Record 1
# Ge3Mo5

A geometry-optimized Ge3Mo5 structure (GGA-PBE, the Materials Project).

Structure (extended XYZ):
```
16
Lattice="3.9143 -3.2544 0.6292 4.6343 4.9719 -3.1136 -1.1338 0.0655 7.3925" Properties=species:S:1:pos:R:3 pbc="T T T"
Ge 5.7461 0.5743 -1.4163
Ge 4.3094 -0.4645 2.1485
Ge 2.2478 -2.3995 4.9653
Ge 2.8025 1.1431 -1.0681
Ge 3.1054 2.2475 2.7596
Ge 5.1670 4.1826 -0.0572
Mo 2.7451 0.0718 4.2004
Mo 4.6697 1.7113 0.7076
Mo 6.6268 0.0840 1.0222
Mo 4.7022 -1.5555 4.5150
Mo 4.0139 -1.2841 -0.2525
Mo 5.6173 1.4204 3.7611
Mo 7.3007 2.5399 -0.9209
Mo 4.5347 3.0016 -2.2319
Mo 1.7975 0.3627 1.1469
Mo 0.1141 -0.7569 5.8290
- - -
The piece goes on =
Al-Jazeera television interviewed three Sunni leaders on 24 October about their views on the resistance and its participation in next month's conference. Muslim Scholars Association leader Harith al-Dari said: "If we want to solve the Iraqi crisis then all sides must participate. The effective side that is now shuffling the cards day after day is the resistance." He contended that if the conference is organized to support a U.S.-interim government formula, rather than the French formula, "it will not be a genuine conference whose aim would be to rearrange the security conditions in Iraq." Iyad al-Samarra'i of the Iraqi Islamic Party voiced agreement with al-Dari, saying that the conference signifies a recognition by the United States that "it needs others to deal with the Iraqi impasse." "The Iraqi representation should not be confined to the [interim] government," al-Samarra'i said. "Other sectors and sides should be represented to a reasonable extent."
Al-Jazeera asked both men who would represent the "resistance" at the conference, since its leadership is clandestine. Both said that the resistance would appoint political figures who "sympathize" with their cause to represent the resistance groups at the conference. The third participant, independent politician Salah Umar al-Ali, referred to the resistance as "the primary side concerned with Iraqi events," adding that "one of the strangest developments" was that the resistance was not asked to participate in the conference. "How can we be reassured that such a conference will be fair, accurate, and constructive to Iraq when the Iraqi nationalist voice is absent from the conference?" he asked.
Prime Minister Allawi made no mention of the possibility of resistance forces attending the Sharm Al-Shaykh conference in his 26 October weekly address to the National Assembly. And, while he highlighted the issues that will top the conference's agenda (security, reconstruction, and the biased coverage of foreign media outlets that glorify the terrorist acts of the "resistance"), he made no mention of the French proposal to address the withdrawal of multinational forces.
A number of Iraqi figures have, however, commented in recent weeks on the French proposal regarding the participation of the "resistance" at Sharm Al-Shaykh, expressing outrage at the possibility that terrorist groups be allowed to sit at the table with world leaders, or be considered as representatives of Iraq.